Geoff Gannon January 27, 2011

Return on Invested Assets

### Materials data from another source follow
____________
Material: NaAsIrO
Method: DFT, PBE
State: relaxed

Structure (CIF):
```
data_NaAsIrO
_cell_length_a 3.689
_cell_length_b 6.844
_cell_length_c 5.555
_cell_angle_alpha 90.00
_cell_angle_beta 90.00
_cell_angle_gamma 90.00
_symmetry_space_group_name_H-M 'P m c 21'
_symmetry_Int_Tables_number 26
loop_
_symmetry_equiv_pos_as_xyz
'x,y,z'
'-x,-y,z+1/2'
'-x,y,z'
'x,-y,z+1/2'
loop_
_atom_site_label
_atom_site_type_symbol
_atom_site_fract_x
_atom_site_fract_y
_atom_site_fract_z
_atom_site_occupancy
Na1 Na 0.000 0.116 0.000 1
As1 As 0.000 0.326 0.479 1
Ir1 Ir 0.500 0.494 0.703 1
O1 O 0.500 0.284 0.961 1
```

Energy relative to the lowest polymorph listed for this composition (eV/atom): 0.0000
Total magnetization (μB per atom): 0.0605
Mass density (g/cm³): 7.25
V (Å³ per cell): 140
Calculated total energy (eV/cell): -44.1


PBE-GGA SiNi7As2P2, optimized geometry; magnetic moment = 0.000 μB/atom; ΔE_f (raw) = -366.2 meV/atom; space group = No. 12; DOS at the Fermi energy = 3.429 states/eV per cell; calculated volume = 13.6 Å³ per atom
1.0
2.457 -2.457 0.000
2.457 2.457 0.000
-2.438 0.000 13.535
Si Ni As P
1 7 2 2
direct
0.000 0.000 0.000
0.065 0.565 0.133
0.303 0.303 0.606
0.435 0.935 0.867
0.500 0.500 0.000
0.565 0.065 0.133
0.697 0.697 0.394
0.935 0.435 0.867
0.213 0.213 0.427
0.787 0.787 0.573
0.385 0.385 0.767
0.615 0.615 0.233
____________

There are a lot of ways to calculate return on capital. Whenever, you see me use the term, it means:

Operating Income / (Total Assets – (Intangibles + Cash))

That’s it.

To be completely honest, I don’t look at net income. I look at operating income and I look at free cash flow. As far as I’m concerned – operating income, free cash flow, and comprehensive income make more sense than net income. But net income is the number they print in the papers. So it gets talked about.

Shouldn’t you include intangibles?


I want to know what the business naturally earns on its own assets. The book value of all assets is somewhat arbitrary. The book value of intangibles is completely arbitrary. It’s based on corporate events like acquisitions. It’s not the general manager’s responsibility. Often, the most valuable intangibles don’t appear on the balance sheet. And the least valuable intangibles appear on the balance sheet only to be written off later.

Shouldn’t you count some cash as non-surplus?


I hear people say that all the time. But it doesn’t make much sense to me. Sure, businesses usually have some cash on the balance sheet. But it’s much easier to assume that cash is always an asset apart from day-to-day operations than to try separating required cash balances from surplus cash. That’s being too clever.

If you really want to talk about surplus and non-surplus cash, that depends on cash relative to liabilities. In other words, a totally unleveraged company can always borrow money and get the “required” cash into the coffers that way. While a leveraged company can have plenty of cash on hand and yet not really be holding enough cash to pay its bills as they come due, because it’s got debt repayment to deal with too.

For me, cash should always be separated from the return on capital calculation. Cash is part of the solvency analysis. It’s not part of the business quality analysis.

And it’s easier to use just one formula. Otherwise, you get too clever and start letting your personal biases determine the right formula for every industry.

Basically, I want to start by looking at the business alone. The stuff the company actually does and the assets it actually uses. I don’t want to start by worrying about whether it uses common stock, preferred stock, short-term debt, long-term debt, insurance float, whatever. I want to start with the business. Then I move on to the finances.

There is one very legitimate argument against using the return on capital formula above…

Isn’t the return on equity what really matters?


But, when I don’t know anything about a company, I always start by looking at the return on invested tangible assets. Then, if it’s a railroad, or a power company, or a water company, or a bank, or whatever – we can talk about what the appropriate leverage ratio should be.

But I like to start by looking at the actual amount earned on the tangible assets inside the business.

Talk to Geoff About Return on Capital
